**Job:**
Next, search the entries underneath for the word "Lattice" and print each line that has it.
**Excerpt:**
-- begin --
No. 1
The following is a DFT calculation (GGA-PBE) of a relaxed structure of Rb2GaCl.

## Properties
Calculated total energy ... -18.19 eV/cell
Volume ... 46.82 Å³/atom
Energy relative to the elements, uncorrected ... -0.571 eV/atom
Energy above the lowest structure with this stoichiometry ... 0 meV per atom

```
8
Lattice="-3.253 0.949 8.653 3.222 -8.450 2.138 3.759 -2.001 6.623" Properties=species:S:1:pos:R:3 pbc="T T T"
Ga 0.000 0.000 0.000
Ga 0.245 -2.401 10.335
Rb -0.522 -1.013 6.882
Rb 2.378 -5.614 4.523
Rb 2.974 -4.752 9.124
Rb 2.624 -7.625 14.298
Cl -0.016 -3.751 5.395
Cl 3.482 -7.101 7.078
```

No. 2
The following is a DFT calculation (GGA-PBE) of a relaxed structure of PrPuPtI.

## Properties
Calculated total energy ... -30.32 eV/cell
Volume ... 31.14 Å³/atom
Energy relative to the elements, uncorrected ... -0.905 eV/atom

```
4
Lattice="4.204 -0.001 0.000 -2.102 3.641 0.000 -2.102 -1.213 8.137" Properties=species:S:1:pos:R:3 pbc="T T T"
Pr 0.397 -0.266 5.489
Pu -1.705 3.375 0.473
Pt -1.705 0.948 7.107
I 2.499 0.947 2.956
```

No. 3
The following is a DFT calculation (GGA-PBE) of a relaxed structure of RhAuS2.

## Properties
Calculated total energy ... -76.65 eV/cell
Volume ... 19.22 Å³/atom
Energy relative to the elements, uncorrected ... -0.070 eV/atom

```
16
Lattice="-6.115 -1.815 -1.716 -0.491 -4.522 6.533 -2.183 4.538 2.977" Properties=species:S:1:pos:R:3 pbc="T T T"
Rh -2.879 2.453 5.529
Rh -6.957 -2.074 3.692
Rh -4.064 -2.680 6.738
Rh -5.772 3.059 2.484
S -2.841 -4.107 5.414
S -5.326 1.015 1.531
S -2.390 0.808 4.000
S -5.777 -3.900 2.945
S -2.428 -1.111 6.796
S -5.700 -2.061 0.097
S -2.691 -1.594 1.592
S -5.438 -1.578 5.300
Au -6.392 -5.616 4.491
Au -1.539 2.034 2.133
Au -4.757 -0.350 3.409
Au -3.174 -3.232 3.215
```

Q: What is the volume in the third record?
A: 19.22 Å³/atom

* * * * *

VASP calculation (GGA-PBE) on Tb4Pr2NdMg after structural relaxation.

## Properties
calculated formation energy	0.027	eV/atom
crystal system	monoclinic
electronic total energy	-4.28	eV/atom
Fermi-level density of states	1.486	states/eV per atom

Cell: 5.030 5.016 10.291 Å, 90.00 90.05 90.00°
Fractional coordinates of all 8 atoms:
Tb: 0.000 0.000 0.000
Tb: 0.000 0.000 0.493
Tb: 0.500 0.500 0.000
Tb: 0.500 0.500 0.493
Pr: 0.000 0.500 0.247
Pr: 0.500 0.000 0.747
Nd: 0.000 0.500 0.747
Mg: 0.499 0.000 0.247
-- stop --
**Written answer:**
Lattice="-3.253 0.949 8.653 3.222 -8.450 2.138 3.759 -2.001 6.623" Properties=species:S:1:pos:R:3 pbc="T T T"
Lattice="4.204 -0.001 0.000 -2.102 3.641 0.000 -2.102 -1.213 8.137" Properties=species:S:1:pos:R:3 pbc="T T T"
Lattice="-6.115 -1.815 -1.716 -0.491 -4.522 6.533 -2.183 4.538 2.977" Properties=species:S:1:pos:R:3 pbc="T T T"